Edinburgh Council has called for emergency legislation to be passed by The Scottish Parliament to allow its crackdown on short-term lets to continue as originally planned.
An Inner House judge ruled this month that the council’s planning guidance for owners of AirBnB-style holiday lets was unlawful, which could have a significant impact on the authority’s approach to regulating the sector.
Following the judicial review at the Court of Session, Lord Braid found rules of the city-wide ‘control area’ – introduced last year in a bid to tackle high concentrations of short-term lets (STLs) – could not be applied retrospectively.
As a result the council is no longer able to demand that all operators of entire property ‘secondary’ lets seek planning permission as part of their application for a licence, only those who began operating after the control area was introduced back in September 2022.
While council chiefs maintain planning permission will be required in the vast majority of cases, the ruling means potentially thousands of applications will have to be assessed on a case-by-case basis to test if the change of use of a property has been ‘material’.
It is understood this could stretch resources in the city’s planning department and lead to significant additional staff and enforcement costs.
The council has yet to decide whether it will appeal the judgement.
‘Continue with original approach’
A cross-party motion tabled by the council’s Labour administration alongside Green and Lib Dem councillors, and backed by SNP councillors, will now ask the Minister for Local Government, Joe FitzPatrick MSP, to introduce an emergency bill to Holyrood.
Councillors said this should “address the legislative deficiencies” in the original legislation that allowed local authorities to set up STL control areas.
It said failing that, ministers should “consider what changes to primary or secondary legislation or other options might be required so Edinburgh Council can continue with its originally intended approach, as agreed cross-party”.
Edinburgh Greens councillor Chas Booth said the court’s decision was “good news for lawyers but bad news for communities and bad news for anyone seeking a genuinely affordable place to live”.
He said: “It’s vital the council considers whether there are grounds for appeal and, if not, that we approach The Scottish Government to urge them to put measures in place to allow us to effectively, clearly and quickly regulate this sector.
“The council does have powers under licensing legislation to refuse licence applications where there is a suspected breach of planning control. It’s essential we make effective use of those powers.”
Planning Convener, Cllr James Dalgleish, said: “Although we still have to decide or appeal or not – and I feel very much that’s open for discussion among all the political groups – it is my personal opinion that now is the time to move past this costly tit for tat appeals and counter-appeals and focus on what we need to do to make our policies work for residents.
“As a result of our policies we’re seeing properties that were being used for STLs now moving back into residential use. That could be someone’s new home.
“Because of this policy we can now really tackle issues that are short-term let-related such as anti-social behaviour, which I know many of our residents are worried about.”
Conservative councillor Jo Mowat said she felt it would be “premature to call for an emergency bill prior to getting clarity from The Scottish Government on the principle of retrospectivity” and her group voted against the move.
She said: “My concern is simply one of process, that to go through asking for something – a new piece of primary legislation – which is time consuming and will take a long time to come through, whereas appropriate guidance could come through much more quickly and we may not need emergency legislation once we had seen what that guidance is.”
‘Policy solutions’
Ahead of the meeting when they agreed their next move councillors were presented with a series of ‘policy solutions’ to achieve a ‘fair and balanced approach’ to regulation by trade body the Association of Scotland’s Self-Caterers (ASSC).
(Crystal structures from another source follow)
~~~
# 1
# AcLaGaCu

AcLaGaCu after structural relaxation (PBE, the Alexandria database).

a = 5.378 Å, b = 5.378 Å, c = 5.378 Å
α = 60.00°, β = 60.00°, γ = 60.00°
Fractional coordinates of all 4 atoms:
Ac (0.000, 0.000, 0.000)
Cu (0.250, 0.250, 0.250)
Ga (0.750, 0.750, 0.750)
La (0.500, 0.500, 0.500)

Summary:
density of states at the Fermi level = 3.75 states/eV/cell
crystal system = cubic
total magnetic moment = 0.00 μB/cell
calculated density = 7.5 g/cm³
space-group type = No. 216
formation energy = -7.0 kcal/mol of atoms

---

# 2
# Rb3OsC

Rb3OsC after structural relaxation (PBE, the Alexandria database).

a = 5.927 Å, b = 5.927 Å, c = 5.927 Å
α = 90.00°, β = 90.00°, γ = 90.00°
Last column: magnetic moment on the atom in μB.
Fractional coordinates of all 5 atoms:
C (0.000, 0.000, 0.000)  1.04
Os (0.500, 0.500, 0.500)  2.38
Rb (0.000, 0.500, 0.000)  0.03
Rb (0.000, 0.000, 0.500)  0.03
Rb (0.500, 0.000, 0.000)  0.03

Summary:
density of states at the Fermi level = 8.09 states/eV/cell
crystal system = cubic
total magnetic moment = 5.00 μB/cell
calculated density = 3.7 g/cm³
energy relative to the lowest polymorph listed for this composition = 0 meV/atom
space-group type = No. 221
formation energy = 47.1 kcal/mol of atoms

---

# 3
# PmPr3Sm2Se6

PmPr3Sm2Se6 after structural relaxation (PBE, the Alexandria database).

a = 7.310 Å, b = 7.310 Å, c = 7.339 Å
α = 99.53°, β = 99.53°, γ = 120.26°
Fractional coordinates of all 12 atoms:
Pm (0.000, 0.000, 0.000)
Pr (0.166, 0.834, 0.500)
Pr (0.834, 0.166, 0.500)
Pr (0.500, 0.500, 0.500)
Sm (0.333, 0.667, 0.000)
Sm (0.667, 0.333, 0.000)
Se (0.919, 0.584, 0.757)
Se (0.746, 0.746, 0.242)
Se (0.081, 0.416, 0.243)
Se (0.584, 0.919, 0.757)
Se (0.254, 0.254, 0.758)
Se (0.416, 0.081, 0.243)

Summary:
density of states at the Fermi level = 5.75 states/eV/cell
crystal system = monoclinic
total magnetic moment = 0.00 μB/cell
calculated density = 7.0 g/cm³
space-group type = No. 12
DFT total energy = -5.9566 eV/atom

---

# 4
# SrSiP2

SrSiP2 after structural relaxation (PBE, the Alexandria database).

a = 3.750 Å, b = 3.617 Å, c = 6.007 Å
α = 90.00°, β = 90.00°, γ = 90.00°
Fractional coordinates of all 4 atoms:
P (0.000, 0.000, 0.067)
P (0.000, 0.000, 0.433)
Si (0.500, 0.500, 0.250)
Sr (0.500, 0.500, 0.750)

Summary:
density of states at the Fermi level = 1.47 states/eV/cell
crystal system = orthorhombic
total magnetic moment = 0.00 μB/cell
calculated density = 3.6 g/cm³
space-group type = No. 47
DFT total energy = -4.6079 eV/atom

---

# 5
# Sr2ZrSc

Sr2ZrSc after structural relaxation (PBE, the Alexandria database).

a = 6.774 Å, b = 6.774 Å, c = 6.412 Å
α = 71.08°, β = 71.08°, γ = 30.26°
Last column: magnetic moment on the atom in μB.
Fractional coordinates of all 4 atoms:
Sc (0.215, 0.215, 0.242)  0.01
Sr (0.982, 0.982, 0.057)  0.03
Sr (0.771, 0.771, 0.687)  0.01
Zr (0.532, 0.532, 0.514)  0.32

Summary:
density of states at the Fermi level = 6.32 states/eV/cell
crystal system = monoclinic
~~~
(So much for the crystal structures)
In an email to elected members the organisation’s CEO Fiona Campbell suggested that the council determines all existing STLs established prior to the control area coming into force are considered lawful use and won’t need planning permission.
She said this would “draw a line under current legal uncertainty and the potential for further costly appeals, disputes and potential compensation claims”.
Ms Campbell also proposed bookings have a minimum duration of five nights to “ensure turnover of guests will typically be limited to once per week”.
And she suggested the council ensures STL owners install noise monitoring systems to mitigate any disturbance to neighbours.
She said: “It is essential to achieve a balance between the needs of residents, businesses and visitors in Edinburgh.
“At the current time, 1,842 secondary let licences have been applied for, representing approximately 0.5 per cent of all dwellings in Edinburgh. This is significantly below the cited expectations of 12,000 short-term lets across the city.
“Approximately 1,300 of the 1,842 secondary let licence applicants have a corresponding planning status that is yet to be determined through either a certificate of lawfulness or a planning application.
“This means a subjective and complex decision-making process will be required to determine the planning status for each application for a licence. Each case will be open to challenge and costly appeals to the [Scottish Government] and potential further Court of Session challenges.”
Compensation claims
It is understood that, on the back of the Court of Session ruling, the council has been contacted by aggrieved STL operators who have previously been refused planning permission.
However Cllr Dalgleish said having sought legal advice the council “is not liable for compensation”. Councillors have been told each claim will be looked at on its individual merit.
Several holiday hosts owners been in touch with the Local Democracy Reporting Service to say they plan to seek compensation.
One said: “We received what seemed to us an unfair refusals in planning for our five properties in Edinburgh last year. We still believe strongly that our operations do not detrimentally impact on the local amenity and should not be considered a material change of use.”
Another said any operators who made planning applications based on the “now deemed unlawful actions of the council” should be able to “seek compensation for the cost of an application that wasn’t required, even if planning was actually granted”.
The operator said: “I spent almost £3,000 on my application including planning, architect and advertising fees.”
‘Increase our housing stock’
Following the meeting, Council leader Cammy Day welcomed the joint motion and said that better managing the “number and location” of STLs across the city was “one way in which we can increase our housing stock”.
He said: “It’s well known that we face unique pressures here in Edinburgh, with a small but densely populated city centre and fast-growing population, and it’s vital for us to strike the right balance between promoting our visitor economy while looking after the people that live here all year round.
“Clearly, however, we must do this according to the legislation and, following the recent judicial review finding, we need to make sure it’s as fair and effective as it can be – for both residents and operators. As agreed at full council today a report setting out next steps will be brought back before councillors early in the new year.”
by Donald Turvill Local Democracy Reporter

The Local Democracy Reporting Service (LDRS) is a public service news agency. It is funded by the BBC, provided by the local news sector (in Edinburgh that is Reach plc (the publisher behind Edinburgh Live and The Daily Record) and used by many qualifying partners. Local Democracy Reporters cover news about top-tier local authorities and other public service organisations.